Why Memo Manager’s Flex Fields are a Game Changer: Q&A with Direct Travel
Lisa Rollo is an accounting project analyst for Direct Travel, a top-ranked U.S. travel management company (TMC) known for its world-class service. In this role, Rollo is charged with providing annual reports on all of her branch office’s debit memos as well as handling ad-hoc requests around particular agents, airlines, memo issues and more.
Working for a TMC that provides corporate travel, meetings and events, as well as leisure services, Rollo has a lot of transactions to keep track of, but there’s one tool, she says, that makes her job a lot easier: ARC’s Memo Manager.
Rollo sat down with ARC to talk about her successes using the tool’s flex fields—an invaluable, but often underutilized product feature. Memo Manager gives users access to six open flex fields, which can be used to store any agency-defined information about a memo. These fields allow companies to assign values or provide notes to each and every memo, giving users like Rollo the power to track, sort and create reports with ease.
ARC: You obviously understand the power of using flex fields in Memo Manager, but can you describe what your Direct Travel branch locations were doing before utilizing these fields to categorize and provide detail on their debit memos?
I would imagine that my predecessor had a paper filing system or perhaps a spreadsheet to log specific items that she was tracking in relation to our debit memos, though I can’t say for sure. Whatever the method was, it had to be a lot more labor intensive.
Using flex fields is an extremely convenient way to quickly export relevant data for reporting purposes. I can visualize all the piles of paper I’d have on my desk if I didn’t have this feature in Memo Manager—adding everything up and sorting everything manually. I hope agencies aren’t still operating this way!
- - -
(1)
{"formula": "C8H7N2O", "method": "ωB97M-V/def2-TZVPD", "total_charge": -1, "total_energy_ev": -13434.7929, "smiles": "N#CN([O-])Cc1ccccc1", "e_above_lowest_ev": 2.4754, "spin_multiplicity": 1, "gap_ev": 5.864, "symbols": ["H", "H", "C", "H", "N", "C", "H", "C", "H", "N", "C", "O", "H", "C", "H", "C", "C", "C"], "positions_angstrom": [[-1.8999, -1.4728, 2.5632], [0.2326, 2.1209, -1.7128], [0.7664, 1.2907, -1.1397], [-1.8369, 0.3639, -1.2407], [2.8242, -1.4321, -1.2299], [-0.0762, -0.5502, 2.0275], [-3.1804, -0.8656, 0.5483], [-1.3516, 0.1461, -0.2409], [0.3944, -0.6870, 2.9603], [1.3190, 0.2598, -2.1203], [-1.4320, -0.8807, 1.8437], [0.5375, 0.0184, -3.2264], [1.6087, 1.5794, -0.4970], [0.6442, 0.1916, 1.0839], [1.6661, 0.5570, 1.2779], [1.9942, -0.6956, -1.5503], [-0.0511, 0.5412, -0.0717], [-2.1592, -0.4849, 0.7247]], "forces_ev_per_a": [[-0.7, -0.8, 1.3], [0.9, -1.3, 0.8], [-0.2, -1.5, 0.0], [0.7, -0.1, 1.2], [0.7, -1.3, 1.0], [-0.4, 1.0, -0.9], [0.7, 0.6, 0.0], [-3.0, 0.4, -2.0], [0.4, -0.8, 1.0], [-1.5, 2.6, 0.3], [0.7, 0.7, -0.5], [-0.2, -0.2, 0.1], [0.1, 0.9, -0.8], [-1.2, -0.2, 0.7], [-0.6, -0.4, -0.2], [0.6, 0.3, -0.9], [1.1, 0.9, -0.7], [2.0, -0.7, -0.3]], "nbo_charge": [0.189, 0.221, -0.237, 0.224, -0.526, -0.225, 0.209, -0.203, 0.195, -0.196, -0.232, -0.769, 0.181, -0.198, 0.214, 0.410, -0.035, -0.224]}

=====

(2)
- - -
The text goes on
OK, so let’s say an agency isn’t utilizing flex fields. What would you tell them the biggest benefit of using this feature is?
By using the flex fields, I can document the key points of each memo and create reports based on these key points. Memo Manager allows you to search for memos by the flex field data, giving you the ability to create spreadsheets of all relevant memos, depending on what you are tasked with reporting. Think about it: Whatever you put in those flex fields automatically becomes a searchable category for all of your debit memos.
With this information, I can track certain trends and very clearly see if there is a particular problem with an agent and training is required, or if maybe a contract isn’t loaded properly and commissions are being recalled because of that. It’s an easy way to get to the root cause of our debit memos.
Has using these flex fields helped you improve any internal processes at Direct Travel?
Absolutely. Two examples come to mind: For a while, we used flex fields to help us track memos that were issued for HX (or inactive) segments. I would run a quarterly report, exporting these specific memos [on in active segments] into Excel. Our tech team was actually requesting this report because they were responsible for making sure that all HX segments had been removed from PNRs. The team would use our Memo Manager data, to research whether or not their system was working properly, and eventually they were able to update the system accordingly, no longer needing the report.
There was also a time when management tasked me with tracking memos that were client reimbursable, and we simply used flex fields to document whether these memos were in fact paid by the client, or if not, why they weren’t.
What can seem like an overwhelming request has become an easy report thanks to these flex fields.
You currently use at least three of the flex fields for reporting and sometimes as many as six. Can tell us what you use each field for?
In my branch office, I use these standard definitions:
I use Flex Field 1 to identify the main category of debit memo (e.g., booking violations, commissions, commission and fee, credit memo, exchange violation, fare/tax discrepancy, missing/incorrect documentation, recall commission, refund violation, group deposit, or chargeback). I always use the same standard verbiage so that reports are easily searchable and sortable.
Flex Field 2 is used to provide more details on the reason for the debit memo. For example, if FF1 was commission, I might say why this commission-related issue happened in FF2 (e.g., FF1: Commission, FF2: 3% less due OAL on tkt).
In Flex Field 3, I notate the name of the responsible party, such as the agent, ticketing agent, or whoever was accountable for that debit memo.
Flex Field 4 displays the debit memo status (e.g., paid, disputed-accepted, disputed-denied, disputed-reduced, or client reimbursed).
Flex Field 5 and 6 are both optional, but when we do use them, we use the 5th field for additional information about the resolution or to track special information (e.g., client paid 50.00/invoice 123456), and the 6th to support FF5 data and provide even more detail. This is a great place to make a note of any amounts that may differ from the original amount of the memo, such as a reduced amount that was agreed upon in a dispute or an administrative fee that is being charged in addition to recalling an over-claimed commission.
What about when you think the memo reason is different from what the airline has assigned. Is that something you note in flex fields?
Honestly, I don’t pay a whole lot of attention to the reason code the airline lists on the memo. Each airline is different: some are very vague on their reasons and others are very clear. Regardless of whether we agree or not, we do usually have to provide more information than the airline offers for our internal purposes.
If the airline simply lists “Fee” as the reason for the memo, that means I need to dig deeper and categorize it, for example, as FF1-Missing/Incorrect Doc, FF2-Waiver code not on ticket, FF3-Susie Smith, FF6-Agent error 25.00. With six flex fields in Memo Manager, you have areas to include all of this information in an organized way.
How else do flex fields help you with internal reporting?
I’m able to create an annual report to showcase the areas in which training and development are needed based on our common causes for debit memos. I’m also able to track year-over-year improvements to be sure we are meeting our goals and improving our processes. The management team then uses this report to further analyze which agents may need additional training or what processes may need to be reviewed with the team. I could not provide this valuable information without Memo Manager’s flex fields.
Are there any other examples you’d like to share on how this feature has aided your memo management?
I just wanted to reiterate that using the flex fields can really help to break down the memo into all the relevant key points you will need for your reporting purposes. Simply exporting the memo will only show you, for example: Amount $658.00 for Commission. However, the whole story may be that the memo was disputed and reduced to $308.00 after providing the applicable contract to the airline. The memo included a $50.00 fee, which was an agent error, since the agent over-claimed the commission. By using the flex fields, I am able to later report accurate amounts to the management team, validating that we paid back $258.00 commission, we saved $350.00 in disputes, and Susie Smith was responsible for a $50.00 agent error. There’s really no way to separate this type of detail on a report outside of using flex fields.
Clearly this feature has enabled Direct Travel to report in ways it never could before. Can you determine if it’s saved the company any money?
I can’t attribute dollars directly just to flex field use, but I can say that with all of the tools that ARC has provided us, including Memo Manager and Memo Analyzer, we have been able to decrease our commission memo amount by 24 percent, from the beginning of 2017 to the end of 2017. That’s less debit memos due to commission and more money in our agents’ pockets.